(Assignment)
Give back the lines below from the one with "0.7427" to the one with "_symmetry_Int_Tables_number 38" character by character.

(Material)
~~~
No. 1
Density functional theory data (PBE-GGA) for a relaxed structure of KBaTl2.

Values from the calculation:
The calculation puts the distance to the lowest polymorph of the same formula at 0.000 eV per atom. As for the calculated formation energy: -0.22 eV per atom.

Structure (CIF):
```
data_KBaTl2
_chemical_formula_sum 'K2 Ba2 Tl4'
_symmetry_space_group_name_H-M 'C 1 m 1'
_symmetry_Int_Tables_number 8
_cell_length_a 13.7788
_cell_length_b 4.1125
_cell_length_c 6.0838
_cell_angle_alpha 90.00
_cell_angle_beta 115.66
_cell_angle_gamma 90.00
loop_
_symmetry_equiv_pos_as_xyz
'x,y,z'
'x,-y,z'
'x+1/2,y+1/2,z'
'x+1/2,-y+1/2,z'
loop_
_atom_site_label
_atom_site_type_symbol
_atom_site_fract_x
_atom_site_fract_y
_atom_site_fract_z
K1 K 0.0000 0.0000 0.0000
Ba1 Ba 0.3010 0.5000 0.3041
Tl1 Tl 0.0457 0.5000 0.5447
Tl2 Tl 0.2375 0.0000 0.7427
```



No. 2
Density functional theory data (PBE-GGA) for a relaxed structure of BaHfGa.

Values from the calculation:
The calculation puts the distance to the lowest polymorph of the same formula at 0.063 eV per atom. As for the calculated formation energy: -0.15 eV per atom.

Structure (CIF):
```
data_BaHfGa
_chemical_formula_sum 'Ba4 Hf4 Ga4'
_symmetry_space_group_name_H-M 'I 4/m m m'
_symmetry_Int_Tables_number 139
_symmetry_space_group_name_Hall '-I 4 2'
_cell_length_a 4.4403
_cell_length_b 4.4403
_cell_length_c 19.3396
_cell_angle_alpha 90.00
_cell_angle_beta 90.00
_cell_angle_gamma 90.00
loop_
_atom_site_label
_atom_site_type_symbol
_atom_site_fract_x
_atom_site_fract_y
_atom_site_fract_z
Ba1 Ba 0.0000 0.0000 0.1652
Hf1 Hf 0.0000 0.5000 0.0000
Ga1 Ga 0.0000 0.0000 0.4066
```



No. 3
Density functional theory data (PBE-GGA) for a relaxed structure of RbMnPt.

Values from the calculation:
The calculation puts the distance to the lowest polymorph of the same formula at 0.189 eV per atom. As for the calculated formation energy: 0.22 eV per atom.

Structure (CIF):
```
data_RbMnPt
_chemical_formula_sum 'Rb2 Mn2 Pt2'
_symmetry_space_group_name_H-M 'P -1'
_symmetry_Int_Tables_number 2
_cell_length_a 4.6686
_cell_length_b 4.7145
_cell_length_c 9.9240
_cell_angle_alpha 92.68
_cell_angle_beta 91.61
_cell_angle_gamma 103.11
loop_
_symmetry_equiv_pos_as_xyz
'x,y,z'
'-x,-y,-z'
loop_
_atom_site_label
_atom_site_type_symbol
_atom_site_fract_x
_atom_site_fract_y
_atom_site_fract_z
Rb1 Rb 0.2236 0.2349 0.2892
Mn1 Mn 0.3347 0.3379 0.9445
Pt1 Pt 0.1938 0.8131 0.9999
```



No. 4
Density functional theory data (PBE-GGA) for a relaxed structure of BeOsAu2.

Values from the calculation:
As for the calculated formation energy: 0.25 eV per atom.

Structure (CIF):
```
data_BeOsAu2
_chemical_formula_sum 'Be2 Os2 Au4'
_symmetry_space_group_name_H-M 'A m m 2'
_symmetry_Int_Tables_number 38
_cell_length_a 3.1780
_cell_length_b 2.8968
_cell_length_c 12.9651
_cell_angle_alpha 90.00
_cell_angle_beta 90.00
_cell_angle_gamma 90.00
loop_
_symmetry_equiv_pos_as_xyz
'x,y,z'
'-x,-y,z'
'-x,y,z'
'x,-y,z'
'x,y+1/2,z+1/2'
'-x,-y+1/2,z+1/2'
'-x,y+1/2,z+1/2'
'x,-y+1/2,z+1/2'
loop_
_atom_site_label
_atom_site_type_symbol
_atom_site_fract_x
_atom_site_fract_y
_atom_site_fract_z
Be1 Be 0.0000 0.0000 0.0000
Os1 Os 0.5000 0.0000 0.5630
Au1 Au 0.0000 0.0000 0.2109
Au2 Au 0.5000 0.0000 0.8652
```



No. 5
Density functional theory data (PBE-GGA) for a relaxed structure of U2MnGe2.

Values from the calculation:
As for the calculated formation energy: -0.23 eV per atom.

Structure (CIF):
```
data_U2MnGe2
_chemical_formula_sum 'U8 Mn4 Ge8'
_symmetry_space_group_name_H-M 'C 1 2/m 1'
_symmetry_Int_Tables_number 12
_cell_length_a 10.4854
_cell_length_b 3.9337
_cell_length_c 9.0039
_cell_angle_alpha 90.00
_cell_angle_beta 101.80
_cell_angle_gamma 90.00
loop_
_symmetry_equiv_pos_as_xyz
'x,y,z'
'-x,-y,-z'
'-x,y,-z'
'x,-y,z'
'x+1/2,y+1/2,z'
'-x+1/2,-y+1/2,-z'
'-x+1/2,y+1/2,-z'
'x+1/2,-y+1/2,z'
loop_
_atom_site_label
_atom_site_type_symbol
_atom_site_fract_x
_atom_site_fract_y
_atom_site_fract_z
U1 U 0.0505 0.0000 0.3800
U2 U 0.1938 0.0000 0.0679
~~~

(Done)
Tl2 Tl 0.2375 0.0000 0.7427
```



No. 2
Density functional theory data (PBE-GGA) for a relaxed structure of BaHfGa.

Values from the calculation:
The calculation puts the distance to the lowest polymorph of the same formula at 0.063 eV per atom. As for the calculated formation energy: -0.15 eV per atom.

Structure (CIF):
```
data_BaHfGa
_chemical_formula_sum 'Ba4 Hf4 Ga4'
_symmetry_space_group_name_H-M 'I 4/m m m'
_symmetry_Int_Tables_number 139
_symmetry_space_group_name_Hall '-I 4 2'
_cell_length_a 4.4403
_cell_length_b 4.4403
_cell_length_c 19.3396
_cell_angle_alpha 90.00
_cell_angle_beta 90.00
_cell_angle_gamma 90.00
loop_
_atom_site_label
_atom_site_type_symbol
_atom_site_fract_x
_atom_site_fract_y
_atom_site_fract_z
Ba1 Ba 0.0000 0.0000 0.1652
Hf1 Hf 0.0000 0.5000 0.0000
Ga1 Ga 0.0000 0.0000 0.4066
```



No. 3
Density functional theory data (PBE-GGA) for a relaxed structure of RbMnPt.

Values from the calculation:
The calculation puts the distance to the lowest polymorph of the same formula at 0.189 eV per atom. As for the calculated formation energy: 0.22 eV per atom.

Structure (CIF):
```
data_RbMnPt
_chemical_formula_sum 'Rb2 Mn2 Pt2'
_symmetry_space_group_name_H-M 'P -1'
_symmetry_Int_Tables_number 2
_cell_length_a 4.6686
_cell_length_b 4.7145
_cell_length_c 9.9240
_cell_angle_alpha 92.68
_cell_angle_beta 91.61
_cell_angle_gamma 103.11
loop_
_symmetry_equiv_pos_as_xyz
'x,y,z'
'-x,-y,-z'
loop_
_atom_site_label
_atom_site_type_symbol
_atom_site_fract_x
_atom_site_fract_y
_atom_site_fract_z
Rb1 Rb 0.2236 0.2349 0.2892
Mn1 Mn 0.3347 0.3379 0.9445
Pt1 Pt 0.1938 0.8131 0.9999
```



No. 4
Density functional theory data (PBE-GGA) for a relaxed structure of BeOsAu2.

Values from the calculation:
As for the calculated formation energy: 0.25 eV per atom.

Structure (CIF):
```
data_BeOsAu2
_chemical_formula_sum 'Be2 Os2 Au4'
_symmetry_space_group_name_H-M 'A m m 2'
_symmetry_Int_Tables_number 38